
Economical use of landscape at both sides of JeddahAl-Madinah road fish-rest area (case study)
Asma Suleyman Mohamed Habter
A thesis submitted for the requirements of the degree of
Master of Economical Geography
Department of Geography
Faculty of Arts and Humanities
King Abdul Aziz University – Jeddah
Rabi'II 1431 H / March 2010 G
‫المستخلص اإلنجليزية‬
The aim of this study is recognizing the land economic
implementation along both sides of Jeddah-Medina free way in the
Kingdom of Saudi Arabia specially the locating of fish restaurants as one
of economic activities along the important and vital road.
The study used the descriptive and quantitative method, also study
case way. It depended on the direct field survey, interviews, questionairs
, and personal observation to get required information about this kind of
land usage as a study case. Statistical methods, maps and aerial
photographs were used.
The thesis contains six chapters. The main results were: No of
restaurant reached to 16 in 2009. Area ranked the 1st rank (31.4%)
followed by the computation factor (21%) then the road (28%) as factors
affecting the decision of restaurant establishment. Economic use area of
the fish restaurants was ( 196.285 ) m2 with 0.49% from the economic use
of the land. Weekend holyday occupied the first rank with 60% from the
visitors while the feast day occupied the latest rank (1%) concerning with
restaurants visiting. Fun lore occupied the first rank among the factors
affecting the visiting to restaurants. Acceptance levels of the visitors on
the restaurants positions, building, food kinds, cleaning and the
complementary activities ranged from very good and excellent while the
acceptance on the price ranged from good to pass.
The main recommendations were definite the economic usage of the
restaurants clearly and limited, encourage the systematic and planed
economic activities, controlling the land price through specific
governorate association, scientifically evolution of the extended
restaurants, establishing a geographical database of the land uses of the
Jeddah-Al-Medinah road.
‫الملخص اإلنجليزية‬
The researcher has aimed in this study at recognizing the land
economic implementation along both sides of Jeddah-Al-Medinah free
way in the Kingdom of Saudi Arabia specially the locating of fish
restaurants as one of economic activities along the important and vital
road, and its importance comes from its relating between the very two
holly cities in the world Makah and Medina passing by Jeddah province.
One of the principle aims of this study is recognizing the economic
and spatial characteristics of this activity, also the spatial distribution
pattern and the effect of land prices and area on the location of fish
restaurants and their present existing localities, also recognizing the
behavior side of the beneficiaries point of view concerning this activity as
one of the important pillars which caused the rapid growth and spread of
this activity socially and spatially.
The researcher has used the descriptive and quantitative method,
also study case way. And because of the insufficient information about
this activity, so the study has depended on the direct field survey,
interviews, questionairs, and personal observation to get required
information about this kind of land usage as a study case. The researcher
has used statistical methods, maps and aerial photographs for this
The present study contains six chapters, the first chapter is
concerned with the introduction which contains the information about the
study area, the implemented way, used standard, also the information
resources, objectives, previous studies, implemented procedures and the
obstacles and difficulties.
The second chapter has thrown the light on the different kinds of
land usages in the study area, the historical progress of this usage (fish
restaurants) through tracing its beginnings and appearance, then its spatial
and social expansion and recognizing the distinguished geographical
characteristics of the kind of land usage, and the proposed localities of
this kind of usage from the investors point of view, this chapter also
throws the light on the obstacles which face this kind of land usage and
implementation with all different activities inside the city or along shore.
The third chapter deals with the internal and external spatial features
and characteristics of fish restaurants.
The fourth chapter is concerned with the economic factors which
affect the start and growth of this kind of land usage.
The fifth chapter deals with the demographic characteristics of these
restaurants customers including their numbers, monthly incomes, their
money spending and where they live followed by numbers of visits,
favorite times of visits and durations, and at last the customer's
evaluations for these places of the entertainment.
The sixth chapter showed the obtained results from this research.
The main results were:
(1) According to the increasing Jeddah area towards the north side,
some of the fish restaurants became within the Jeddah area.
(2) No of restaurant reached to 16 in 2009.
(3) Selection of the restaurants positions was randomly.
(4) The restaurants compete concerning with the activities and
services in the area of children playgrounds, swimming pools and
(5) Area ranked the 1st rank (31.4%) followed by the computation
factor (21%) then the road (28%) as factors affecting the decision
of restaurant establishment.
(6) Economic use area of the fish restaurants was ( 196.285 ) m2 with
0.49% from the economic use of the land.
(7) Increasing the rent value of land on the sea and the narrow place
were the main obstacles which face this kind of land usage on sea
or within the city.
(8) Around 45% from the restaurants conducted on the road zone.
(9) No significant correlation were found between the distance and
the restaurants area, or between the distance and the yearly rent
of the restaurants.
The maximum visitors to restaurants were resulted from
north Jeddah (187 persons from the airport zone) and the
minimum visitors were from the western – south Jeddah (5
persons from Albalad zone).
Number of visitors decreased as monthly income decreased,
and significant correlation was found between the monthly
income and money spending in each visit.
These calculated molecules were left in the page by mistake:
┌──
{"formula": "C39H44N6O3Pd", "method": "wB97M-V/def2-TZVPD", "symbols": ["C", "H", "N", "H", "H", "C", "H", "C", "C", "C", "H", "H", "N", "C", "H", "C", "C", "H", "C", "N", "C", "C", "C", "H", "H", "H", "C", "C", "H", "H", "H", "H", "H", "H", "O", "H", "H", "C", "H", "H", "Pd", "H", "H", "H", "C", "H", "C", "O", "C", "C", "H", "H", "C", "H", "C", "H", "N", "H", "H", "C", "C", "H", "O", "C", "C", "C", "C", "H", "H", "C", "H", "C", "H", "C", "H", "C", "C", "N", "N", "H", "C", "C", "C", "C", "H", "C", "H", "H", "H", "C", "C", "H", "H"], "coordinates": [[-3.8625, -1.1174, 6.1086], [3.3035, -0.9722, -2.6184], [1.2778, 0.6020, 1.9433], [-2.9422, -1.6746, 6.2970], [1.1639, 2.3718, -4.5877], [0.6848, 2.4848, -1.5312], [-3.8162, -0.1985, 6.6930], [1.3416, -3.6576, -3.4412], [-5.0576, -1.2320, 2.5019], [-3.2507, 0.4027, 2.6848], [-0.2644, -2.0737, 5.2024], [1.8071, -3.3615, 1.3120], [1.0918, -0.5487, -1.4115], [-2.2925, -2.5004, 0.2230], [-2.6005, 2.5406, -0.8094], [1.6755, -2.4794, 0.6884], [0.9315, 3.9091, -1.7358], [-5.1651, -0.6257, -0.0067], [5.9356, 1.8787, -3.9053], [-1.8057, -1.7105, -2.0237], [2.2991, 4.4142, -2.0773], [0.3977, -0.8513, 3.5965], [5.1440, 1.0243, -3.1617], [0.9731, -1.5844, -3.8454], [2.5395, -1.8276, 0.8366], [5.5708, 0.4360, -2.3599], [2.4163, 0.5238, 4.0619], [1.5381, -2.8744, -0.7509], [-1.8687, 2.0094, 2.9455], [-3.0276, -3.3240, -1.5215], [1.8801, -4.9457, -0.3674], [-6.6704, -1.4486, 1.0525], [3.1447, 1.2509, 3.7284], [-2.5426, -1.3258, -2.6137], [-3.0067, -3.1709, 0.9331], [2.5777, 2.1828, -2.1281], [1.6637, 1.3922, -5.9509], [4.0095, 2.5045, -5.1961], [1.2606, -3.9520, -4.4785], [0.5282, 0.2498, 1.3612], [-1.0876, -0.0718, -0.7580], [-2.2423, 4.9302, -1.2475], [-1.6131, 1.0761, 1.4566], [2.3123, 5.5010, -2.0629], [1.8981, 0.2970, -1.9419], [-5.5909, -2.2035, 4.3260], [1.6894, -4.2055, -1.1332], [-3.4209, 0.2556, -0.3346], [3.1920, 1.6311, -4.4778], [-4.1889, -0.3013, 1.8948], [-2.9438, 2.2148, 1.5589], [-0.0057, 5.8150, -1.7820], [-6.0679, -2.0451, 1.7360], [1.8836, 1.3235, 1.5872], [-2.3725, 1.4865, 2.1320], [3.2606, 0.2714, 5.9940], [3.0194, -0.0030, -2.6421], [-6.7478, -2.5322, 2.4306], [-2.4715, 0.6845, 4.6479], [1.5027, -0.9519, 5.7247], [1.3731, 0.1136, 3.1745], [-4.6933, -1.7171, 6.4728], [-1.4500, -1.5903, 0.6132], [-3.1753, 0.1300, 4.0364], [-1.4048, 4.2486, -1.3117], [-4.2596, -0.2008, 0.4452], [1.1891, -2.3271, -3.0854], [2.6098, 4.0952, -3.0774], [0.7707, -1.9701, 1.0187], [-0.1382, 4.7540, -1.6227], [1.2707, 0.6185, -4.4235], [-0.5820, 1.9520, -1.1345], [1.7292, -5.6412, -2.7210], [1.5981, -4.6018, -2.4572], [6.9914, 1.9617, -3.6915], [-1.6019, 2.8762, -1.0615], [3.7843, 0.9090, -3.4398], [1.7632, 1.6969, -1.7681], [-2.3080, -2.7117, -1.1662], [3.5725, 3.0739, -6.0068], [1.2875, -1.9340, -1.7499], [1.7455, 1.4906, -4.8696], [-3.9985, -0.8206, 4.6442], [-4.9375, -1.4740, 3.8660], [-5.5606, -2.8234, 1.1637], [2.4728, -0.0155, 5.3128], [1.5548, -1.3638, 6.7227], [3.0569, 4.0688, -1.3697], [-0.3789, -1.1571, 2.9009], [5.3593, 2.6317, -4.9217], [0.4706, -1.3585, 4.8614], [5.9675, 3.3029, -5.5112], [-1.0657, -2.1097, -2.5994]], "atomic_forces_ev_per_a": [[-0.004, 0.021, -0.016], [-0.060, -0.010, -0.104], [-0.207, -0.212, 0.468], [0.006, -0.009, 0.023], [-0.023, 0.021, 0.021], [0.138, -0.103, 0.004], [0.003, 0.007, 0.006], [-0.008, 0.014, -0.001], [0.000, -0.034, 0.024], [-0.054, 0.004, 0.009], [-0.007, -0.028, -0.024], [0.030, -0.012, 0.007], [-0.207, -0.234, 0.025], [0.185, 0.099, -0.136], [0.008, 0.000, 0.012], [-0.026, 0.009, 0.014], [-0.048, -0.154, 0.111], [0.018, 0.048, 0.030], [-0.028, 0.012, -0.010], [-0.242, -0.216, 0.047], [0.003, 0.066, -0.023], [0.016, 0.017, -0.036], [0.014, 0.054, 0.030], [0.043, 0.019, -0.022], [-0.007, 0.045, 0.022], [0.008, -0.011, 0.026], [-0.053, -0.006, -0.009], [0.086, -0.024, -0.035], [0.002, 0.018, -0.014], [0.014, 0.110, -0.024], [0.020, -0.017, 0.018], [-0.029, 0.006, 0.027], [0.021, 0.010, -0.010], [0.043, -0.058, 0.104], [-0.042, -0.170, 0.063], [0.056, 0.038, 0.054], [-0.004, 0.007, -0.015], [0.018, 0.011, -0.008], [-0.001, -0.005, -0.015], [0.018, 0.118, -0.345], [0.519, 0.169, -0.182], [-0.043, 0.017, 0.003], [-0.073, 0.060, 0.042], [0.002, 0.004, -0.024], [0.241, 0.387, 0.121], [-0.033, -0.016, 0.015], [-0.044, -0.014, -0.061], [-0.002, 0.233, 0.111], [0.010, -0.012, -0.071], [0.052, -0.094, -0.008], [-0.007, 0.017, -0.051], [0.011, 0.028, -0.008], [0.006, -0.009, 0.011], [0.073, -0.011, 0.001], [0.112, -0.089, -0.045], [0.008, 0.024, 0.022], [-0.072, -0.069, 0.104], [-0.011, -0.013, 0.003], [0.000, 0.039, 0.019], [-0.046, -0.012, -0.049], [-0.009, -0.002, -0.024], [-0.007, -0.007, 0.008], [0.114, -0.053, 0.268], [-0.023, -0.035, -0.042], [0.017, -0.013, 0.033], [-0.019, -0.043, -0.047], [-0.109, -0.084, -0.016], [0.014, -0.017, -0.017], [0.001, -0.018, -0.016], [0.057, -0.015, -0.023], [0.003, -0.006, -0.003], [-0.226, 0.161, -0.249], [-0.021, -0.036, -0.005], [0.002, 0.031, 0.027], [0.027, -0.006, -0.004], [0.043, -0.038, -0.009], [0.026, -0.028, 0.062], [-0.268, -0.139, -0.108], [-0.060, -0.082, 0.016], [-0.004, 0.007, -0.028], [0.120, 0.127, 0.016], [-0.023, -0.010, -0.015], [-0.003, 0.012, -0.016], [0.035, 0.034, -0.057], [0.017, 0.002, -0.019], [-0.011, 0.017, -0.057], [0.011, -0.012, 0.028], [0.004, 0.005, 0.024], [-0.065, 0.012, -0.010], [-0.003, -0.032, 0.026], [0.040, 0.032, 0.031], [0.013, 0.027, -0.010], [-0.099, 0.119, -0.013]], "orbital_gap_ev": [8.195, 4.848], "lumo_energy_ev": [-4.61, -8.25], "e_tot_ha": -2194.0995, "relative_energy_kcal_mol": 21.1, "charge": 2, "fmax_ev_per_a": 0.576, "mol_weight_g_mol": 751.2, "s_squared": 6.055, "homo_energy_ev": [-12.8, -13.1], "multiplicity": 5}
└──
Weekend holyday occupied the first rank with 60% from the
visitors while the feast day occupied the latest rank (1%)
concerning with restaurants visiting.
No Significant correlation was found between the distance
and number of visits.
Fun lore occupied the first rank among the factors affecting
the visiting to restaurants.
Acceptance levels of the visitors on the restaurants positions,
building, food kinds, cleaning and the complementary activities
ranged from very good and excellent while the acceptance on the
price ranged from good to pass.
Also, this section showed the study recommendations which summarized
in: (1) Determining the characteristics of the restaurants, (2) Also,
definite this economic usage clearly and limited, (3) The economic use of
the land must not on the road viability, (4) Encourage the systematic and
planed economic activities, (5) Controlling the land price through specific
governorate association, (6) Scientifically evolution of the extended
restaurants, (7) Establishing a geographical database of the land uses of
the Jeddah-Al-Medinah road.